Friday, July 31, 2015

Daily Duffster

I've been neglecting my Duffster posts, so here's a small sampling of Hilary's many public appearances of late:

hilary duff hotnesshilary duff hotness
hilary duff hotnesshilary duff hotness
hilary duff hotness
hilary duff hotnesshilary duff hotness
hilary duff hotnesshilary duff hotness
hilary duff hotnesshilary duff hotness

Friday Flashback = Mena Suvari

I can't remember the last time I had thought about Mena Suvari until I saw her name in the credits of some horror flick showing on cable. Don't Blink was the film's title and aply named if you were a fan wanting to see Ms. Suvari as she was out of the movie barely 20 minutes in.

I always wonder when I see some notable name amidst the unknowns in a cast for a nothingburger movie like this. I'm pretty sure it is some sort of contractual obligation or even a favor to a producer or writer or whatever. Anyways, her appearance made me remember I had some old stuff buried on the hard-drive which I present here for my peeps:

A little topless paparazzi action:

mena suvari topless
mena suvari topless
mena suvari topless
mena suvari topless
mena suvari topless
mena suvari topless

Some basic bikini stuff:

mena suvari bikini
mena suvari bikini

And some fashion mag stuff:

mena suvari hotnessmena suvari hotnessmena suvari hotness
mena suvari hotnessmena suvari hotnessmena suvari hotness

F*cking Awesome!!

So to set the stage -- It's Sunday in a quiet residential neighborhood in Bullitt County, Kentucky. A teenage girl, who's been sunbathing out by her pool comes in and tells her father that there's a drone hovering over the backyards of various houses. Perhaps not coincidentally, houses that also have teenage girls in swimsuits hanging out by the pool.

So the father grabs his shotgun and steps into the backyard, saying to one of his neighbors that he won't do anything unless it comes over his property. Sure enough the drone comes over his yard and he blasts the thing out of the sky.

Some minutes later, four guys show up at the father's house demanding to know if he was the one who shot down their drone. And it went like this:

"They asked me, 'Are you the S.O.B. that shot my drone?' and I said, 'Yes I am,'..."I had my 40[.cal] Glock on me and they started toward me and I told them, 'If you cross my sidewalk, there’s gonna be another shooting.'"


At which point the four guys politely left the father's property.

Supposedly the guys were simply taking pictures of a friend's house from the air. I'm sure it was pure coincidence that they chose a weekend day with lots of neighborhood teenage girls laying out by their pools in their bikinis and hovered over them until the girls noticed and waved at the camera. I'm sure they were simply having a hard time finding the correct house to photograph/video.

As we become blanketed with surveillance from city/county/state/national agencies and every Tom, Dick, and Harry using their cell-phones to record everything, I find myself becoming more concerned about the round-the-clock snooping into the daily moments of our lives. I say bully for Dad there. I would have done the same thing.

And bully for Dad as a responsible gun owner as we once again see how simply the possession/carrying of a firearm forestalled a violent encounter.

=====
The following is a quantum chemistry calculation of a cluster of 7 separate species, C14H31Cl2N3O15 in total in a non-equilibrium geometry, from the OMol25 dataset.

Summary:
HOMO   -10.674 eV
HOMO-LUMO gap   0.39074 Ha
SMILES   C[N+](=O)[O-].C[N+](=O)[O-].C[N+](=O)[O-].COC(=O)OC.COC(=O)OC.COC(=O)OC.ClCCCl

Element x y z (Å)
C: 8.7259 0.2633 -0.8958
N: 7.9533 1.3922 -1.5517
O: 8.0842 2.4993 -1.0688
O: 7.1520 1.0625 -2.4179
H: 9.7261 0.5956 -0.6181
H: 8.7481 -0.5207 -1.6528
H: 8.1920 -0.1587 -0.0443
C: 3.3136 -4.6859 8.4098
N: 1.8426 -4.7455 8.5396
O: 1.2053 -5.7075 8.0909
O: 1.2759 -3.8864 9.2198
H: 3.5882 -5.6098 7.9008
H: 3.8097 -4.6336 9.3790
H: 3.6249 -3.8203 7.8250
C: -1.9181 -2.6190 -2.6900
N: -2.5437 -3.6154 -3.6035
O: -2.0306 -3.8347 -4.6902
O: -3.5358 -4.2114 -3.1920
H: -0.9927 -2.3617 -3.2053
H: -1.8371 -3.2468 -1.8027
H: -2.4939 -1.6964 -2.6159
C: -6.8092 -2.9470 0.5401
O: -6.3490 -3.7953 1.6650
C: -5.0464 -3.8106 2.1294
O: -4.1572 -3.0705 1.7428
O: -4.9690 -4.5904 3.2007
C: -3.7658 -4.8674 3.8787
H: -6.6879 -3.6092 -0.3171
H: -6.1982 -2.0478 0.4607
H: -7.8842 -2.7679 0.5203
H: -3.8694 -5.5548 4.7183
H: -3.2673 -4.0308 4.3681
H: -3.0350 -5.3048 3.1985
C: -0.8631 6.9295 -0.6194
O: 0.3339 7.2766 0.1116
C: 1.3185 6.2672 0.2643
O: 1.2491 5.1060 -0.2095
O: 2.3626 6.8482 0.9810
C: 3.3672 5.9833 1.5202
H: -1.2807 6.0744 -0.0878
H: -0.6026 6.6971 -1.6520
H: -1.6105 7.7074 -0.4633
H: 3.5034 5.0011 1.0676
H: 3.0937 5.8075 2.5606
H: 4.3535 6.4471 1.5065
C: -0.2358 1.1243 -5.8640
O: -1.4052 1.6605 -5.2058
C: -2.5255 1.7041 -5.9466
O: -2.6967 1.2969 -7.1070
O: -3.4539 2.2469 -5.1625
C: -4.7842 2.4844 -5.6688
H: 0.7151 1.1732 -5.3335
H: -0.0005 1.6658 -6.7802
H: -0.3905 0.0925 -6.1798
H: -5.3449 2.6168 -4.7435
H: -5.1027 1.5773 -6.1823
H: -4.8187 3.3943 -6.2680
Cl: 2.4314 -1.6636 -0.0274
C: 2.2610 -0.0343 0.5924
C: 1.3598 -0.0547 1.8692
Cl: 2.2498 -0.9401 3.1763
H: 1.8896 0.5981 -0.2140
H: 3.2734 0.3429 0.7371
H: 0.3585 -0.4596 1.7227
H: 1.1441 0.9662 2.1842

---

The following is a quantum chemistry calculation of a cluster of 2 separate species, C2H8OS2 in total in a non-equilibrium geometry, from the OMol25 dataset.

Summary:
ΔE to the lowest compared entry with this formula, charge and spin   212.8 kJ/mol
HOMO   -9.405 eV
HOMO-LUMO gap   0.31569 Ha
SMILES   CSS.CO

Element x y z (Å)
C: -1.4056 -1.4388 1.3718
S: -0.9630 0.1742 0.8255
S: -0.4642 -0.2456 -1.3908
H: -2.3685 -1.9041 1.3275
H: -0.9159 -1.7937 2.2689
H: -0.8674 -2.1470 0.6962
H: -1.6759 0.1210 -1.6895
C: 2.1472 1.4740 -0.1176
O: 2.0605 0.0803 -0.1503
H: 3.2045 1.6877 0.1073
H: 2.0527 1.8334 -1.1638
H: 1.5324 2.0759 0.5362
H: 1.1819 -0.1343 -0.5532

---

The following is a quantum chemistry calculation of a structure of composition C40H51As3N4O2SV in a non-equilibrium geometry, from the OMol25 dataset.

Summary:
Charge   +2
HOMO (alpha / beta)   -12.944 / -12.496 eV
HOMO-LUMO gap (alpha / beta)   0.25480 / 0.23812 Ha
Spin multiplicity   2

Element x y z (Å)
V: 1.1294 1.1029 0.2252
=====

Wednesday, July 29, 2015

• The page is interrupted by calculated molecules:
[1]
Formula: C36H49BNO5
Source: OMol25
Level of theory: ωB97M-V/def2-TZVPD

Element x y z (Å)
C: -0.764 4.954 0.540
C: -0.392 3.682 -0.218
C: -1.644 2.922 -0.627
O: -1.420 1.606 -1.100
C: -1.064 1.288 -2.454
O: -1.333 -0.101 -2.481
B: -1.459 -0.758 -1.261
O: -2.671 -1.309 -0.921
O: -0.396 -0.968 -0.406
C: 0.457 1.501 -2.683
C: 0.986 2.249 -3.943
C: 1.666 3.568 -3.558
C: 2.043 1.391 -4.634
N: -0.124 2.474 -4.925
O: -0.190 1.637 -5.889
C: -1.451 2.977 -4.454
C: -2.367 3.070 -5.674
C: -1.339 4.372 -3.831
C: -2.009 1.922 -3.489
H: -1.077 4.729 1.561
H: 0.075 5.649 0.591
H: -1.592 5.474 0.049
H: 0.216 3.934 -1.091
H: 0.214 3.025 0.413
H: -2.285 2.788 0.249
H: -2.229 3.495 -1.357
H: -2.600 -2.219 -0.613
H: 0.366 -0.429 -0.641
H: 0.875 0.494 -2.713
H: 0.857 1.987 -1.792
H: 2.357 3.371 -2.735
H: 2.246 3.953 -4.399
H: 0.985 4.351 -3.237
H: 1.693 0.373 -4.799
H: 2.314 1.817 -5.599
H: 2.933 1.363 -3.999
H: -1.874 3.610 -6.484
H: -3.274 3.610 -5.395
H: -2.639 2.087 -6.050
H: -1.035 4.358 -2.785
H: -0.636 4.993 -4.387
H: -2.315 4.858 -3.879
H: -2.879 2.326 -2.964
H: -2.368 1.083 -4.084
C: -5.056 0.115 2.856
C: -4.102 -0.353 1.961
C: -2.751 -0.199 2.244
C: -2.358 0.420 3.424
C: -3.311 0.894 4.315
C: -4.662 0.740 4.031
H: -6.109 -0.004 2.634
H: -4.402 -0.827 1.036
H: -2.008 -0.554 1.543
H: -1.304 0.537 3.647
H: -3.002 1.383 5.230
H: -5.406 1.111 4.725
C: 1.790 -5.984 1.241
C: 3.105 -5.651 1.539
C: 3.500 -4.320 1.536
C: 2.580 -3.324 1.236
C: 1.264 -3.654 0.938
C: 0.872 -4.987 0.941
H: 1.485 -7.023 1.242
H: 3.820 -6.430 1.770
H: 4.525 -4.059 1.767
H: 2.889 -2.286 1.237
H: 0.551 -2.874 0.703
H: -0.153 -5.249 0.710
C: 4.158 -10.570 -0.816
C: 5.472 -10.237 -0.521
C: 5.868 -8.906 -0.523
C: 4.948 -7.909 -0.819
C: 3.633 -8.242 -1.114
C: 3.238 -9.573 -1.113
H: 3.849 -11.608 -0.815
H: 6.189 -11.014 -0.289
H: 6.894 -8.646 -0.294
H: 5.253 -6.870 -0.817
H: 2.917 -7.462 -1.338
H: 2.213 -9.833 -1.345
C: 0.017 3.784 5.784
C: 0.313 4.577 6.884
C: -0.641 5.451 7.386
C: -1.891 5.533 6.789
C: -2.188 4.740 5.689
C: -1.234 3.866 5.186
H: 0.760 3.100 5.393
H: 1.287 4.512 7.352
H: -0.409 6.070 8.244
H: -2.635 6.214 7.182
H: -3.164 4.800 5.223
H: -1.468 3.248 4.328

Properties
<S²> ... 0.75
Gap between HOMO and LUMO (alpha / beta) ... 8.59 / 9.57 eV
2S+1 ... 2
E_HOMO (alpha / beta) ... -8.206 / -9.186 eV
Molecular weight ... 586.6 g mol⁻¹

[2]
Formula: C36H49MgN5P2Si
Source: OMol25
Level of theory: ωB97M-V/def2-TZVPD

Element x y z (Å)
Mg: 0.000 0.000 0.000
C: -6.952 2.049 -5.316
C: -6.298 2.913 -4.529
C: -6.753 3.633 -3.287
C: -8.002 3.080 -2.564
C: -7.836 1.650 -2.107
C: -8.028 0.521 -2.799
C: -8.471 0.318 -4.224
C: -8.362 1.527 -5.180
C: 0.649 -1.580 1.238
H: -6.392 1.639 -6.156
H: -5.272 3.145 -4.815
H: -6.925 4.693 -3.530
H: -5.913 3.631 -2.578
H: -8.176 3.708 -1.682
H: -8.883 3.198 -3.196
H: -7.485 1.537 -1.081
H: -7.838 -0.411 -2.265
H: -9.511 -0.045 -4.228
H: -7.875 -0.507 -4.641
H: -8.706 1.197 -6.167
H: -9.052 2.313 -4.868
H: 1.331 -2.267 0.703
H: -0.210 -2.165 1.627

Denise Richards in a bikini = botoxy?

And speaking of 80s icons -- Denise Richards appeared in a staged bikini photo set looking good, but with a unrealistically smooth face for someone in their mid-fourties:

The page is interrupted by calculated molecules:
/*
{
  "formula": "C50H126N4O15",
  "method": "ωB97M-V/def2-TZVPD",
  "symbols": ["O", "O", "O", "O", "O", "O", "O", "O", "O", "O", "O", "O", "O", "O", "O", "N", "N", "N", "N", "C", "C", "C", "C", "C", "C", "C", "C", "C", "C", "C", "C", "C", "C", "C", "C", "C", "C", "C", "C", "C", "C", "C", "C", "C", "C", "C", "C", "C", "C", "C", "C", "C", "C", "C", "C", "C", "C", "C", "C", "C", "C", "C", "C", "C", "C", "C", "C", "C", "C", "H", "H", "H", "H", "H", "H", "H", "H", "H", "H", "H", "H", "H", "H", "H", "H", "H", "H", "H", "H", "H", "H", "H", "H", "H", "H", "H", "H", "H", "H", "H", "H", "H", "H", "H", "H", "H", "H", "H", "H", "H", "H", "H", "H", "H", "H", "H", "H", "H", "H", "H", "H", "H", "H", "H", "H", "H", "H", "H", "H", "H", "H", "H", "H", "H", "H", "H", "H", "H", "H", "H", "H", "H", "H", "H", "H", "H", "H", "H", "H", "H", "H", "H", "H", "H", "H", "H", "H", "H", "H", "H", "H", "H", "H", "H", "H", "H", "H", "H", "H", "H", "H", "H", "H", "H", "H", "H", "H", "H", "H", "H", "H", "H", "H", "H", "H", "H", "H", "H", "H", "H", "H", "H", "H", "H", "H"],
*/
The calculated molecules stop here:

denise richards bikini
denise richards bikini
denise richards bikini
denise richards bikini

Sunday, July 26, 2015

Britney Spears in a bikini = not bad

Pics of Britney on vacation (?!?!?) in Hawaii surfaced recently, and the lip-sync star didn't look half bad. Perhaps the time out of the intense spotlight is doing her some good:

britney spears bikini in hawaii
britney spears bikini in hawaii
britney spears bikini in hawaii
britney spears bikini in hawaii

Wednesday, July 22, 2015

Melissa Reeves gets her revenge

After Kayleigh Morris gave Melissa Reeves the chestal version of a drawers-ing a few months back, the blonde actress/party-girl waited patiently for her moment of revenge, then had at it:

kayleigh morris topless by melissa reeves
kayleigh morris topless by melissa reeves
kayleigh morris topless by melissa reeves
kayleigh morris topless by melissa reeves

Merry old England, indeed!

So, Lindsay wore this to the beach

Lindsay Lohan broke out some interesting beach wear whilst in Greece recently:

lindsay lohan beach
lindsay lohan beach

While her swimming ensemble is certainly a head scratcher, I'm more taken aback by her glaringly poor physique. At a time when 20-something women, particularly in Hollywood (Linds is 29, btw), are working hard on the fitness and overall appearance, Lindsay seems almost defiantly out of shape. Absolutely no muscle tone or definition, and that coke bloat belly is amazing.

lindsay lohan beach
lindsay lohan beach
lindsay lohan beach

In a twisted way, I'm almost impressed by the fact she stubbornly refuses to improve her physique/fitness. I've got no problem with a woman that has curves, and Linds certainly has those. But I do wonder what she's going to look like in another 10 years if she continues down this particular path with her personal appearance.

Wednesday, July 15, 2015

It's going to make arguing the point more difficult now

it doesn't matter

In case you've missed it, video surfaced of a Planned Parenthood medical director discussing the harvesting and selling of fetal body parts from aborted babies. The video is gruesome enough, but the rush to excuse this barbaric practice is truly stomach turning. The most recent argument is that the women signed donor release forms allowing the PP centers to harvest the fetal materials for various medical uses.

Okay. But I thought these weren't babies but inanimate clumps of cells or tissues. That what abortion proponents keep saying -- We're not actually killing babies, just removing benign tissues from a willing patient.

Except now, we're hearing that these benign tissues have organs like livers and hearts. And have limbs that can be saved or crushed depending on what the murderer, excuse me, abortion practitioner wants to do with them.

Liver. Heart. Lungs. Arms and legs. Kind of sounds like a baby to me. So which is it folks? A clump of cells or a helpless child that's going to be crushed and mutilated in what is supposed to be the safety of a mother's womb in the name of convenience and big $$$'s?

See. It doesn't matter if you got a signed consent form to harvest those baby organs, you've just admitted that that is a child you're killing there. A helpless, innocent, tiny human being with working, functioning organs and limbs. That's life, dammit! And you're murdering it for the basest of reasons.

This time Kendall > Kylie

The Jenner sisters were out and about yesterday, both sporting skin-tight jeans, and usually Kylie would win that showdown with her roller coaster curves:

kylie jenner jeans ass

But Kendall used her lithe figure to her advantage to wear a top that her full-figured sister wouldn't dare wear out of the house:

kendall jenner sideboob
kendall jenner sideboob
kendall jenner sideboob
kendall jenner sideboob
kendall jenner sideboob

This round to the skinny sister.

And for the trifecta, here's Kim from some magazine in a see-thru top because . . . that's what she does. Not like she's out curing cancer or anything, gotta work to your strengths I suppose.

kim kardashian see thru